Print the data further down word for word.
/*
(1)
DFT (ωB97M-V with the def2-TZVPD basis set) results for C3H5O2P as an isolated structure in a non-equilibrium geometry.

Calculated values
gap between HOMO and LUMO: 9.888 eV
HOMO: -10.884 eV
E_LUMO: -1.0 eV
energy relative to the best compared isomer or geometry (same formula, charge and spin): 60.0 kcal per mole

Geometry as ORCA input:
```
! RIJCOSX wB97M-V def2-TZVPD def2/J DEFGRID3
* xyz 0 1
C 1.688 0.072 -0.645
C 0.781 0.155 0.125
C 0.220 0.501 1.431
O -2.197 0.277 -0.479
O -1.216 -1.973 -1.095
P -1.157 -0.493 -1.073
H 2.255 -0.222 -1.545
H 0.236 1.570 1.628
H 0.495 -0.019 2.360
H -0.878 0.189 1.335
H -0.226 -0.056 -2.043
*
```


(2)
DFT (ωB97M-V with the def2-TZVPD basis set) results for C30H35N4PbSb as an isolated structure.

Calculated values
gap between HOMO and LUMO: 6.241 eV
HOMO: -13.606 eV
E_LUMO: -7.4 eV

Geometry as ORCA input:
```
! RIJCOSX wB97M-V def2-TZVPD def2/J DEFGRID3
* xyz 2 1
Pb -0.003 -0.723 -0.357
C -2.735 -0.719 -2.667
C -2.751 -2.083 -2.039
C -3.804 -2.969 -2.230
C -3.768 -4.208 -1.618
C -2.667 -4.546 -0.841
C -1.647 -3.619 -0.682
N -1.704 -2.412 -1.267
Sb 0.050 -4.385 0.457
C 1.723 -3.578 -0.687
C 2.759 -4.482 -0.867
C 3.856 -4.107 -1.634
C 3.871 -2.852 -2.214
C 2.803 -1.990 -2.004
C 2.763 -0.613 -2.601
N 1.761 -2.356 -1.243
C 0.047 -2.993 2.138
C 0.099 -3.618 3.376
C 0.082 -2.843 4.528
C 0.011 -1.469 4.406
C -0.038 -0.895 3.142
C -0.102 0.594 2.964
N -0.018 -1.653 2.034
H -3.522 -0.620 -3.410
H -1.777 -0.537 -3.161
H -2.885 0.060 -1.914
H -4.637 -2.683 -2.857
H -4.582 -4.909 -1.751
H -2.600 -5.521 -0.376
H 2.709 -5.470 -0.427
H 4.682 -4.790 -1.782
H 4.701 -2.536 -2.831
H 3.566 -0.473 -3.320
H 2.870 0.151 -1.826
H 1.814 -0.446 -3.117
H 0.148 -4.697 3.439
H 0.122 -3.308 5.505
H -0.009 -0.834 5.281
H -0.237 1.093 3.921
H -0.935 0.871 2.311
H 0.823 0.967 2.513
C -3.126 1.715 0.527
C -2.649 3.052 -0.058
C -2.670 3.063 -1.594
C -1.321 3.512 0.488
C -1.304 4.573 1.353
C -0.094 5.083 1.834
C 1.151 4.582 1.437
C 1.236 3.522 0.576
C 2.602 3.078 0.118
C 3.049 1.728 0.699
C 2.722 3.128 -1.412
C -0.026 2.854 0.136
N -0.006 1.695 -0.398
H -4.136 1.508 0.170
H -3.160 1.747 1.618
H -2.479 0.894 0.221
H -3.370 3.802 0.277
H -1.981 2.326 -2.001
H -2.391 4.044 -1.984
H -3.680 2.843 -1.944
H -2.235 5.038 1.655
H -0.121 5.921 2.524
H 2.054 5.056 1.803
H 3.293 3.822 0.519
H 2.430 0.912 0.326
H 3.008 1.729 1.790
H 4.083 1.539 0.406
H 2.058 2.404 -1.881
H 3.751 2.910 -1.703
H 2.472 4.118 -1.795
*
```


(3)
DFT (ωB97M-V with the def2-TZVPD basis set) results for a 2-piece molecular cluster, C3H6N2O overall in a non-equilibrium geometry.

Calculated values
gap between HOMO and LUMO: 9.786 eV
HOMO: -8.965 eV
E_LUMO: 0.8 eV
energy relative to the best compared isomer or geometry (same formula, charge and spin): 36.7 kcal per mole

Geometry as ORCA input:
```
! RIJCOSX wB97M-V def2-TZVPD def2/J DEFGRID3
* xyz 0 1
C 0.094 -0.449 0.549
C -0.497 0.289 1.559
N -1.620 0.844 0.980
C -1.688 0.365 -0.326
N -0.655 -0.380 -0.577
H 1.163 -0.595 0.492
H -0.185 0.591 2.539
H -2.183 1.358 1.615
H -2.698 0.495 -0.686
O 3.299 -0.633 -1.677
H 2.407 -0.380 -1.485
H 3.305 -0.521 -2.611
*
```


(4)
DFT (ωB97M-V with the def2-TZVPD basis set) results for C14H21CoN as an isolated structure in a non-equilibrium geometry.

Calculated values
gap between HOMO and LUMO (spin up / spin down): 5.747 / 5.749 eV
HOMO (spin up / spin down): -20.738 / -20.752 eV
E_LUMO (spin up / spin down): -15.0 / -15.0 eV

Geometry as ORCA input:
```
! RIJCOSX wB97M-V def2-TZVPD def2/J DEFGRID3
* xyz 3 1
Co 1.051 0.824 -0.423
C 2.164 -1.400 0.947
C 0.792 -0.877 0.651
C 0.281 0.270 1.400
C 0.964 0.785 2.623
C -1.030 0.768 1.068
C -1.501 2.027 1.687
C -1.943 -0.067 0.354
C -3.339 0.337 0.149
C -1.508 -1.347 -0.119
C -2.490 -2.364 -0.505
C -0.108 -1.632 -0.173
C 0.367 -2.756 -1.004
H 2.128 -2.084 1.804
H 2.874 -0.613 1.221
H 2.577 -1.992 0.132
H 1.291 1.829 2.539
H 1.820 0.187 2.925
H 0.252 0.781 3.456
H -2.028 1.804 2.623
H -2.225 2.559 1.073
H -0.690 2.707 1.939
*/
(1)
DFT (ωB97M-V with the def2-TZVPD basis set) results for C3H5O2P as an isolated structure in a non-equilibrium geometry.

Calculated values
gap between HOMO and LUMO: 9.888 eV
HOMO: -10.884 eV
E_LUMO: -1.0 eV
energy relative to the best compared isomer or geometry (same formula, charge and spin): 60.0 kcal per mole

Geometry as ORCA input:
```
! RIJCOSX wB97M-V def2-TZVPD def2/J DEFGRID3
* xyz 0 1
C 1.688 0.072 -0.645
C 0.781 0.155 0.125
C 0.220 0.501 1.431
O -2.197 0.277 -0.479
O -1.216 -1.973 -1.095
P -1.157 -0.493 -1.073
H 2.255 -0.222 -1.545
H 0.236 1.570 1.628
H 0.495 -0.019 2.360
H -0.878 0.189 1.335
H -0.226 -0.056 -2.043
*
```


(2)
DFT (ωB97M-V with the def2-TZVPD basis set) results for C30H35N4PbSb as an isolated structure.

Calculated values
gap between HOMO and LUMO: 6.241 eV
HOMO: -13.606 eV
E_LUMO: -7.4 eV

Geometry as ORCA input:
```
! RIJCOSX wB97M-V def2-TZVPD def2/J DEFGRID3
* xyz 2 1
Pb -0.003 -0.723 -0.357
C -2.735 -0.719 -2.667
C -2.751 -2.083 -2.039
C -3.804 -2.969 -2.230
C -3.768 -4.208 -1.618
C -2.667 -4.546 -0.841
C -1.647 -3.619 -0.682
N -1.704 -2.412 -1.267
Sb 0.050 -4.385 0.457
C 1.723 -3.578 -0.687
C 2.759 -4.482 -0.867
C 3.856 -4.107 -1.634
C 3.871 -2.852 -2.214
C 2.803 -1.990 -2.004
C 2.763 -0.613 -2.601
N 1.761 -2.356 -1.243
C 0.047 -2.993 2.138
C 0.099 -3.618 3.376
C 0.082 -2.843 4.528
C 0.011 -1.469 4.406
C -0.038 -0.895 3.142
C -0.102 0.594 2.964
N -0.018 -1.653 2.034
H -3.522 -0.620 -3.410
H -1.777 -0.537 -3.161
H -2.885 0.060 -1.914
H -4.637 -2.683 -2.857
H -4.582 -4.909 -1.751
H -2.600 -5.521 -0.376
H 2.709 -5.470 -0.427
H 4.682 -4.790 -1.782
H 4.701 -2.536 -2.831
H 3.566 -0.473 -3.320
H 2.870 0.151 -1.826
H 1.814 -0.446 -3.117
H 0.148 -4.697 3.439
H 0.122 -3.308 5.505
H -0.009 -0.834 5.281
H -0.237 1.093 3.921
H -0.935 0.871 2.311
H 0.823 0.967 2.513
C -3.126 1.715 0.527
C -2.649 3.052 -0.058
C -2.670 3.063 -1.594
C -1.321 3.512 0.488
C -1.304 4.573 1.353
C -0.094 5.083 1.834
C 1.151 4.582 1.437
C 1.236 3.522 0.576
C 2.602 3.078 0.118
C 3.049 1.728 0.699
C 2.722 3.128 -1.412
C -0.026 2.854 0.136
N -0.006 1.695 -0.398
H -4.136 1.508 0.170
H -3.160 1.747 1.618
H -2.479 0.894 0.221
H -3.370 3.802 0.277
H -1.981 2.326 -2.001
H -2.391 4.044 -1.984
H -3.680 2.843 -1.944
H -2.235 5.038 1.655
H -0.121 5.921 2.524
H 2.054 5.056 1.803
H 3.293 3.822 0.519
H 2.430 0.912 0.326
H 3.008 1.729 1.790
H 4.083 1.539 0.406
H 2.058 2.404 -1.881
H 3.751 2.910 -1.703
H 2.472 4.118 -1.795
*
```


(3)
DFT (ωB97M-V with the def2-TZVPD basis set) results for a 2-piece molecular cluster, C3H6N2O overall in a non-equilibrium geometry.

Calculated values
gap between HOMO and LUMO: 9.786 eV
HOMO: -8.965 eV
E_LUMO: 0.8 eV
energy relative to the best compared isomer or geometry (same formula, charge and spin): 36.7 kcal per mole

Geometry as ORCA input:
```
! RIJCOSX wB97M-V def2-TZVPD def2/J DEFGRID3
* xyz 0 1
C 0.094 -0.449 0.549
C -0.497 0.289 1.559
N -1.620 0.844 0.980
C -1.688 0.365 -0.326
N -0.655 -0.380 -0.577
H 1.163 -0.595 0.492
H -0.185 0.591 2.539
H -2.183 1.358 1.615
H -2.698 0.495 -0.686
O 3.299 -0.633 -1.677
H 2.407 -0.380 -1.485
H 3.305 -0.521 -2.611
*
```


(4)
DFT (ωB97M-V with the def2-TZVPD basis set) results for C14H21CoN as an isolated structure in a non-equilibrium geometry.

Calculated values
gap between HOMO and LUMO (spin up / spin down): 5.747 / 5.749 eV
HOMO (spin up / spin down): -20.738 / -20.752 eV
E_LUMO (spin up / spin down): -15.0 / -15.0 eV

Geometry as ORCA input:
```
! RIJCOSX wB97M-V def2-TZVPD def2/J DEFGRID3
* xyz 3 1
Co 1.051 0.824 -0.423
C 2.164 -1.400 0.947
C 0.792 -0.877 0.651
C 0.281 0.270 1.400
C 0.964 0.785 2.623
C -1.030 0.768 1.068
C -1.501 2.027 1.687
C -1.943 -0.067 0.354
C -3.339 0.337 0.149
C -1.508 -1.347 -0.119
C -2.490 -2.364 -0.505
C -0.108 -1.632 -0.173
C 0.367 -2.756 -1.004
H 2.128 -2.084 1.804
H 2.874 -0.613 1.221
H 2.577 -1.992 0.132
H 1.291 1.829 2.539
H 1.820 0.187 2.925
H 0.252 0.781 3.456
H -2.028 1.804 2.623
H -2.225 2.559 1.073
H -0.690 2.707 1.939